Friday, August 28, 2009


That's what you boys are weakness. Once again the cyber league started with thunder, a little bit of empty growling, and then sad, sad silence. Kind of like a sexual experience with the Wrath of K.O.D. or for short the W.O.K.

Time to fire some shots across the bows, and let's get things heated, like Gerztoff in a horse stable...

I'll take the easy route and go afte equally obvious targets, now that Philadelphia is Vicktimizing the NiFfLe.

Isiah Thomas for all his dancing in circles with a tightly clutched ball in '81 and whenever Bill Lamebeer-brain rode him to an NBA title or two (seriously get a new victory dance) is the greatest con-man in NBA history. Why this dude still gets jobs as a decision maker is beyond me.

I couldn't figure out why Elgin Baylor or whatever-washed-up-too-tight-short-wearing- only-got-grainey-Zapruder-films-of-NBA-"legend"-that-g.m'd-the-Clippers kept his job for 20 years until I read the Clippers never wanted to win they were actually ran as a business designed to show profit (and somehow they did with a horsepiddle product), but I can't for the life figure out what sort of black-ops behind the scenes NY Knick plan justified hiring and not firing the world's worst sports manager. You think Isiah is holding equally grainy footage of him riding Magic's Johnson and is blackmailing the league?

Worst GM ever? Case in point:

Top 10 worst free agent signings of the decade:

You'll notice 1 through 3 are all Isiah Thomas signings, and terrible not just for the crap player but for a ton of other not thought out factors.

Add in the drafting of the Gamecock Fugees extra that was supposed to be the second coming of Dennis Rodman (if as a drunk they were right), having 12 roster spots filled by undersized point guards, and a personal life that is more Mike Tyson than the epitome of silky smooth good guy we once thought he was.

There was a time when Ike defended Bob Knight, and it was this glowing endorsement, Knight's credibility was at an all time low and Ike stood up for the former coach. It meant something.

These days, that bungled front office career has left Thomas coaching basically a NAIA team(what is it central florida state?) and things are so bad, Bob Knight would probably rather Luke "Program" Recker speak up for him than the smiling fraud. I did have "Car" Recker, but that was too low, and program works just take a look at Indiana, Arizona, after Luke left them, only Iowa seems half-way normal though piss-terrible.

Let's see W.O.K. check, check, check. Hank check. Shoats check.

Hmmmmm... who am I forgeting...

Football season is upon us, almost, and now we have the guy doing the Owner's verison of the reverse Midas touch of Isaih Thomas; Danny-Boy "Can't Get Off The" Schneid-er bringing another overpaid mediocre product to the DC market. He came in with the eager promise of another Jerry Jones, a guy who was going to turn the league on it's ear, a man willing to out Jerry Jones, Jerry Jones. Kind of like what Jerry Jones did to Al Davis, who once upon a time built a pretty decent legacy in Oakland then he lost the plot. What has Danny done? He just skipped all the years of success and got right into the Al Davis career portion of being a senile destory the team from the top boss.

Nobody needs a history lesson, but let's review just a couple of small items, everything the Jack was supposed to be is everything the new behomoth in Dallas is, in fact, for all the Redskins bluster their stadium was basically out of date within 3 years. I admit it's big, but like Schneide-r's ego it's little else.

What else... signing terrible overhyped over the hill players for too much. Firing coaches just as they finally get it going and sabotoging them with free agent cancer tumors. You know, throwing money at problems instead of common sense. Umm... summed up by Jeff George.

Anyway, I look forward to another year of averageness from the Deadskins. At least the cowboys rebuild even if they have to go to the bottom of the barrel to do a complete start over, Schneide-r like Forestor as a five year old just throws silly putty at a pile of legos and hopes a house will emerge.

So, we know one thing for sure the Redskins, the Dread(ful)skins, the Foreskins, will be blase like Ray Allen at best. The only thing that is interesting or noteworthy about that team is Chris Cooley being a vicodin short of pulling a Stephan Marbury on the world wide web (yeah, Isiah signed that guy too).

Don't tout their potential... every team from the old NFC East has been to the Superbowl more recently than the Redskins. That includes the Cardinals. Even Al Davis has been more recently than Danny Boy. So too, the Titans, the Flukeins, the Rams, the Seahawks, the friggin' Panthers, the Bucs? All told 20 NFL teams have been to the Superbowl more recently than the Skins. Skins fans should thank goodness the Saints, Browns and Jets organizations exist because the way Schneide-r's regime is going the wheels haven't just fallen off the bus, no, the Skins are a burnt out bus on the side of a highway in a third world country during a soccer riot. They might never get back to the superbowl. Obama needs to clean house locally and send a Death Panel to JKC stat.

Alright, that's most of you. I'll finish off the lot some other time. You're welcome, you all have been saturated as Mr. Juicy, got "Juicey Wit It" enjoy my theme song below. NSFW (Not Safe For Work) Video at least with the volume on loud. (BTW, Look for cameo by Jaime Patenude at the 1:20 mark and throughout the video, Ro-ro dancing in yellow, and if you look quickly Frank 3rd Degree Burns in a Richard Nixon mask).

Mr. Kleen - Juicy Wit It Part 2 from Gianfranco Espinoza on Vimeo.

Monday, August 17, 2009

Hurricane Bill on the move

Uh-oh. No word if this Hurricane likes to draw to the inside straight.

The People's Champ Fires Back

Posted for Perry:

I go off the grid a couple days and a juice war breaks out. This season has gotten off to a nice little start, it will be fun when the real action starts. I love that Billy even took to posting a YouTube Video on the blog – classy. I don’t have time to compose a proper retort to all the fire that came my way so I’ll have to pick everyone off one by one during the season.

My one serious thought for the season, I don’t in any way condone what Michael Vick did, period the end. He served his sentence and deserves a 2nd chance. Its up to him whether he’s an “asshat” (never seen that word before reading Billy’s missive on Saturday) or if he changes.

That being said, from a football perspective its just plain nasty. The idea of Vick, Westbrook, Shady McCoy, D Jackson, and Macklin in the Eagles version of the Wildcat is scary …kind of like my step back 3 pointer which also got mentioned in Billy’s long winded post. Hopefully that thing gets lost like the remote when Billy and Hank are in the same room.

Change your facebook status boys (bending over perhaps?), the war has just begun.

People’s Champ

Friday, August 14, 2009

Mr. Juicey is Back

Did Ro-ro really say more juice and put up a photo of Kool-Aid?

What? Talk about fumbling the opening kick off.

If this is the start of this league this will be like taking candy from a baby. First REAL juicing of the week goes to bill dooley, who because of his moniker obviously expects a lot of it.

Bill Dooley, Mr. Juicy has been dispatched to you stat.
Not only does Kool-Aid essentially lack juice, a fact I knew basically an infant, it also is a popular phrase in reference to Jonestown. "You are drinking the Kool-Aid" meaning you are a mindless lemming following the crowd to your own death. In essence, the complete and utter opposite of juicing somebody. So, it doesn't really work on two levels. If I really were to try and be understanding, granted I'm grasping at sugar water straws here, and view the image only for the "Oh, Yeah," comment like "Snap!" but 80s style, okay... but why settle for a picture why not a video... Watch for a Ro-ro cameo midway through holding a newspaper.

While I admit I served a juicing with Mr. Juicy for Dr. Goodroll, and that too may lack any real juice, at least the name has something to do with juice. Course, Ro-ro ain't the villain here, we all know that. And, indeed his attempt to add some multi-media to this corner of the Internet, ham-fisted as it is, should actually be applauded. Sure, the execution like that of our quarterback in December through early January (we have no idea how he plays in late january), was lacking, but the effort was there. I liked the prison on the premises of the Vet thought, but I would have probably gone with Vick's already got his personal lockerroom--or something along those lines. Still, the effort was there. Ironically, a compliment he most often heard from his coaches as a youth. Good effort, Rory. Now let's win the game, hit the bench and let Brian Early try and carry us to victory. Still, it's preseason and the good dr. goodroll is rusty.

Clearly, there is only one viable candidate for juicing, and for him I've included a video for this juicing. Again look for Ro-Ro's cameo this time as Abe Lincoln playing the clarinet.

"Mr. Juicey, let's the sunshine in, so you can rock and roll through your day." Please hit play again and let the song replay as you read this. It's obvious Cookie Puss needs to let the sunshine in, as he is in a dark corner somewhere, clutching his Iggles blankie and knowing that Vick inevitably will start for his team... soon. Probably very soon. Here's the sunshine, Sunshine, let it in, everybody always worried about McNabb, brittle as Chucko Johnson in a no-touch game of tag, getting hurt with no backup. Now you wont have one overrated, better mobile but rather be a pocket quarterback, who can't win the big one, you'll have two. Somebody dial up Dante Culpepper and you'll have the best platoon of guys that are only good for running in circles, overthrowing their receivers (and blaming them for it), and for hitting the self-destruction button on themselves and their own franchises.

Perry, I want you to "Rock and Roll" through your day. Arguably the Eagles are maybe the only franchise that could sign Vick, after all his actions still qualify him as a role model to their fans. And I'm not condoning cruelty to animals, but in South Philly the fact he hasn't killed, maimed, or raped a person makes him a good guy (and in their opinion frankly a bit of a pussy).

I like how the Mr. Juicy video gets a little softer like Otis Day and the Knights, and perhaps, I should go a little easy on the Puss. With Vick an Eagle the target on Puss's back is bigger than that gut McNabb has been carrying the last four years. The target is so big if Perry were a backboard he might even prevent one his threepointers from being an airball.

Vick, the vile asshat, is back. I didn't think anybody could be dumber than his brother Marcus, and then Vick got arrested for running a dog-fighting ring. You couldn't script a dumber way to throw your career down the toliet and go to jail than fighting dogs. Now, there's somebody even dumber than Michael Vick, it's Jeffrey Lurie and any Eagle fan that cheers for that scumbag on Sunday when on one rare day he bails out Donovan McFlab and gets the eagles their fifth win of the season.

Mr. Juicey has been served. More to come.

more juice


free refills will be served

Of Course Vick Plays For Philly. Of Course He Does.

Filthadelphia keeping it real, showing their enduring love for Donovan McNabb by signing Michael Vick. Another classy move by a classy franchise. They should start booing McNabb right now.

The text is interrupted by crystal structures =
Structure and theoretical X-ray diffraction stick pattern of Pm5Mo2C4 (a DFT-relaxed cell (PBE, Alexandria); a wavelength of 1.5418 Å).

Crystal structure
Lattice parameters (Å, degrees): 3.891 9.458 13.006 90.00 90.00 90.00
Space group Immm (No. 71)
Unique sites:
Pm 0.000 0.000 0.000
Pm 0.000 0.181 0.359
Mo 0.000 0.500 0.314
C 0.000 0.336 0.500
C 0.000 0.500 0.170

Most intense lines, 10 to 80 degrees two-theta, by intensity:
Position (°2θ)	d/Å	I_rel	(hkl)
30.9	2.896	100.0	1 0 3
29.1	3.064	53.5	0 3 1
46.4	1.956	48.7	1 3 4
36.7	2.450	36.7	1 3 0
30.5	2.928	34.7	1 2 1
35.2	2.550	31.5	0 3 3

=====

1.
Starting from a DFT-relaxed cell (PBE, the Materials Project), the powder XRD pattern of TiFe4N4 was computed for Cu Kα X-rays.
Kinematic intensities with the Lorentz-polarization factor, no thermal factor.

Peak list (12 most intense, 2θ = 5–70°, in order of rising 2θ)
36.82 deg, I = 100, (1 1 -2)
37.93 deg, I = 79, (0 2 0)
38.10 deg, I = 73, (1 1 3)
39.38 deg, I = 78, (2 0 1)
41.60 deg, I = 90, (2 2 1)
43.17 deg, I = 89, (-1 1 2)
47.77 deg, I = 68, (1 -1 3)
61.36 deg, I = 22, (1 3 3)
61.65 deg, I = 23, (3 1 -1)
63.31 deg, I = 23, (1 3 -2)
64.72 deg, I = 25, (0 0 5)
67.94 deg, I = 19, (2 -2 1)

Cell and atoms:
Unit cell a=5.071 b=5.242 c=7.479 alpha=80.47 beta=74.78 gamma=65.07
Space group P-1 (No. 2)
Symmetry-distinct sites (fractional):
Ti 0.071 0.287 0.213 x2
Fe 0.087 0.778 0.387 x2
Fe 0.277 0.740 0.027 x2
Fe 0.353 0.183 0.783 x2
Fe 0.438 0.766 0.591 x2
N 0.118 0.973 0.810 x2
N 0.249 0.503 0.583 x2
N 0.301 0.035 0.393 x2
N 0.314 0.382 0.975 x2



2.
Starting from a DFT-relaxed cell (PBE, the Materials Project), the powder XRD pattern of Mg5Ga was computed for Cu Kα X-rays.
Kinematic intensities with the Lorentz-polarization factor, no thermal factor.

Peak list (12 most intense, 2θ = 5–70°, in order of rising 2θ)
5.66 deg, I = 95, (0 0 1)
11.33 deg, I = 24, (0 0 2)
17.03 deg, I = 9, (0 0 3)
33.11 deg, I = 27, (1 0 0)
33.61 deg, I = 10, (1 0 1)
34.45 deg, I = 27, (0 0 6)
35.10 deg, I = 8, (1 0 2)
37.46 deg, I = 100, (1 0 3)
40.56 deg, I = 8, (1 0 4)
48.52 deg, I = 18, (1 0 6)
59.14 deg, I = 17, (1 1 0)
63.70 deg, I = 19, (1 0 9)

Cell and atoms:
Unit cell a=3.1244 b=3.1244 c=15.6220 alpha=90.00 beta=90.00 gamma=120.00
Space group P-6m2 (No. 187)
Symmetry-distinct sites (fractional):
Mg 0.0000 0.0000 0.0000 x1
Mg 0.0000 0.0000 0.3412 x2
Mg 0.6667 0.3333 0.1685 x2
Ga 0.6667 0.3333 0.5000 x1



3.
Starting from a DFT-relaxed cell (PBE, the Materials Project), the powder XRD pattern of Al2Zn3S6 was computed for Cu Kα X-rays.
Kinematic intensities with the Lorentz-polarization factor, no thermal factor.

Peak list (12 most intense, 2θ = 5–70°, in order of rising 2θ)
14.34 deg, I = 43, (0 0 3)
26.97 deg, I = 100, (1 1 0)
28.91 deg, I = 42, (0 0 6)
30.68 deg, I = 63, (1 1 3)
39.95 deg, I = 48, (1 1 6)
47.65 deg, I = 56, (3 0 0)
50.02 deg, I = 10, (3 0 3)
52.35 deg, I = 55, (1 1 9)
55.61 deg, I = 11, (2 2 0)
56.70 deg, I = 33, (0 3 6)

Too bad the jail at the Vet is no more, they could save themselves some time. Maybe they could have one behind the bench at the new stadium.

Not only that, they signed him for 1.6 million for the first year, 5 million for the second year. Another joke of a move. I wouldn't expect anything less from the Eagles

Thursday, August 13, 2009

Cyber Shoats

I am officially in Cyberland -- ready to take on Cyber Shoats. While he has moved the Cyber League to his online home turf, I predict he will have no Cyber Home Advantage. I witnessed Shoats melt down in New Orleans when he couldn't find a Cyber Cafe. I witnessed him bang his fist on the dash in Richmond the night he lost his purse. I am ready to pay the lion this year -- and I felt the need to embrace our new forum.

Shoats -- do we have any informal rules for this league or are rules out the window here in your cyber world?


Tuesday, August 11, 2009

Blake is in the zone

Classic emails. Great thread. Good idea on the blog. I give this to Week 5 to fizzle. I am in this year. Ready for action. The family life is more stable as the kids have gotten a little older. I can now shift my laser focus back to my Midas touch.

Updating my my facebook status to "In the zone".

PS -- I would have gotten out at least two spreadsheets.

Reverse KOD offer

I will just pick every game week 1 and that will be my season, fair enough?

L3K's post

I might go 4-12, but not because of my living situation. I appreciate the excuses, but let's cut to the chase. I suck. If anything, my habitation status will only help. After all, Annie does watch the OTB channel with me.

<<<
Record 1
Calculated XRD peak list
Compound: Mg3Zn5Ga2
Radiation: Cu Kα (λ = 1.5418 Å)
Structure: a PBE-relaxed structure

Main lines, in order of rising 2θ (5 to 70 degrees two-theta):
2theta  I_rel
17.9  56
19.1  41
37.9  33
38.1  32
38.7  71
42.7  100
43.1  38
43.6  33

Cell and atoms:
Unit cell a=10.800 b=10.800 c=5.500 alpha=104.59 beta=104.59 gamma=133.53
Element x y z (fractional)
Mg 0.001 0.999 0.750
Mg 0.120 0.572 0.845
Mg 0.428 0.880 0.655
Mg 0.572 0.120 0.345
Mg 0.880 0.428 0.155
Mg 0.999 0.001 0.250
Zn 0.157 0.843 0.750
Zn 0.158 0.842 0.250
Zn 0.185 0.356 0.771
Zn 0.356 0.185 0.271
Zn 0.500 0.500 0.250
Zn 0.500 0.500 0.750
Zn 0.644 0.815 0.729
Zn 0.815 0.644 0.229
Zn 0.842 0.158 0.750
Zn 0.843 0.157 0.250
Ga 0.214 0.461 0.338
Ga 0.461 0.214 0.838
Ga 0.539 0.786 0.162
Ga 0.786 0.539 0.662

***

Record 2
Calculated XRD peak list
Compound: MgZn11Ga
Radiation: Cu Kα (λ = 1.5418 Å)
Structure: a PBE-relaxed structure

Main lines, in order of rising 2θ (5 to 70 degrees two-theta):
2theta  I_rel
20.2  42
39.0  56
39.2  68
40.8  69
41.0  100
44.0  55
44.6  84
45.8  67

Cell and atoms:
Unit cell a=6.738 b=6.738 c=6.820 alpha=98.99 beta=98.99 gamma=132.70
Element x y z (fractional)
Mg 0.000 0.000 0.000
Zn 0.000 0.000 0.500
Zn 0.000 0.500 0.000
Zn 0.014 0.660 0.652
Zn 0.278 0.497 0.785
Zn 0.340 0.986 0.348
Zn 0.497 0.278 0.785
Zn 0.500 0.000 0.000
Zn 0.503 0.722 0.215
Zn 0.660 0.014 0.652
Zn 0.722 0.503 0.215
Zn 0.986 0.340 0.348
Ga 0.500 0.500 0.500

* * * * *

Entry 1:
The following is a computed X-ray powder pattern of Li2CuPO4. It was derived from a DFT-relaxed cell (GGA-PBE, the Materials Project), using copper Kα.

Peak list (6 most intense, 2θ = 10–90°, by intensity)
25.47°, I = 100, (0 1 2)
36.19°, I = 50, (1 1 0)
36.46°, I = 19, (1 0 4)
42.85°, I = 18, (1 1 3)
43.08°, I = 13, (0 1 5)
44.77°, I = 12, (2 0 2)

Structure:
Unit cell a=4.965 b=4.965 c=12.030 alpha=90.00 beta=90.00 gamma=120.00
Atoms (fractional coordinates):
Li1 0.087 0.425 0.417
Li2 0.338 0.913 0.084
Li3 0.425 0.087 0.583
Li4 0.575 0.662 0.751
Li5 0.662 0.575 0.249
Li6 0.913 0.338 0.916
Cu1 0.000 0.321 0.667
Cu2 0.321 0.000 0.333
Cu3 0.679 0.679 0.000
P1 0.000 0.232 0.167
P2 0.232 0.000 0.833
P3 0.768 0.768 0.500
O1 0.086 0.451 0.065
O2 0.099 0.814 0.473
O3 0.186 0.285 0.806
O4 0.285 0.186 0.194
O5 0.365 0.914 0.732
O6 0.451 0.086 0.935
O7 0.549 0.635 0.399
O8 0.635 0.549 0.601
O9 0.715 0.901 0.139
O10 0.814 0.099 0.527
O11 0.901 0.715 0.861
O12 0.914 0.365 0.268

***

Entry 2:
The following is a computed X-ray powder pattern of Li3Cu2P5O16. It was derived from a DFT-relaxed cell (GGA-PBE, the Materials Project), using copper Kα.

Peak list (6 most intense, 2θ = 10–90°, by intensity)
13.59°, I = 100, (0 1 1)
22.21°, I = 83, (1 1 1)
20.28°, I = 63, (0 0 4)
10.10°, I = 48, (0 0 2)
31.30°, I = 44, (1 2 -1)
32.72°, I = 42, (1 2 2)

Structure:
Unit cell a=5.103 b=7.018 c=17.522 alpha=90.00 beta=91.11 gamma=90.00
Atoms (fractional coordinates):
Li1 0.000 0.024 0.250
>>>

Rory's non-preview

over/under on how many weekly spreadsheets blake gets out all season: 1

"in a relationship"...that was funny. took about 3 dates. so whipped already.

Hank's preview

I've met Forester's relationship girl, and I think that she will help Scotty go .500. Shady and Romo will have difficulty with their Jess' to just miss the playoffs. Mo will noshow. I hear that Kissal and Roro are playing hide the tennis racket in their best all white uniforms. 4-12. Blake still blaked after all these years goes 8-7 and forgets to make one pick. Shoats starts filming a porn and has a strong second half at 9-7. Glloyd gets caught up in looks and magazines and daddy issues to go 5-11. Perry and his wife start hanging with dancers but the helps his record to go 9-7/

Cassie Ditka Hardesty: 16-0.

Bill's Preview

_What comes next are data records, not part of the piece_
********
Entry 1:
Simulated powder XRD pattern
Compound: Rb2YInI6
Radiation: CuKα
Structure: DFT lattice parameters and positions (PBE)
No peak broadening, texture or thermal motion is included.

Cell: 9.0027 9.0027 9.0027 Å, 60.00 60.00 60.00°
Sites, in units of the cell vectors:
1 Rb 0.2500 0.2500 0.2500
2 Rb 0.7500 0.7500 0.7500
3 Y 0.0000 0.0000 0.0000
4 In 0.5000 0.5000 0.5000
5 I 0.2379 0.2379 0.7621
6 I 0.2379 0.7621 0.2379
7 I 0.2379 0.7621 0.7621
8 I 0.7621 0.2379 0.2379
9 I 0.7621 0.2379 0.7621
10 I 0.7621 0.7621 0.2379

Main lines, in order of rising 2θ (10 to 90 degrees two-theta):
2theta  Rel. int.
13.91  35.1
24.22  77.2
28.03  100.0
31.42  18.0
40.06  73.9
47.36  34.7
49.61  25.7
63.72  13.3
65.58  31.7
72.78  22.9

Entry 2:
Simulated powder XRD pattern
Compound: MgU2As2O16
Radiation: CuKα
Structure: DFT lattice parameters and positions (PBE)
No peak broadening, texture or thermal motion is included.

Cell: 9.8342 9.8342 6.9061 Å, 98.38 98.38 43.02°
Sites, in units of the cell vectors:
1 Mg 0.0000 0.0000 0.0000
2 U 0.2407 0.2407 0.6331
3 U 0.7593 0.7593 0.3669
4 As 0.2860 0.2860 0.1819
5 As 0.7140 0.7140 0.8181
6 O 0.0824 0.7393 0.9619
7 O 0.0831 0.4388 0.3284
8 O 0.1419 0.1419 0.5532
9 O 0.2298 0.2298 0.9567
10 O 0.2607 0.9176 0.0381
11 O 0.3393 0.3393 0.7015
12 O 0.3772 0.3772 0.1635
13 O 0.4388 0.0831 0.3284
14 O 0.5612 0.9169 0.6716
15 O 0.6228 0.6228 0.8365
16 O 0.6607 0.6607 0.2985
17 O 0.7393 0.0824 0.9619
18 O 0.7702 0.7702 0.0433
19 O 0.8581 0.8581 0.4468
20 O 0.9169 0.5612 0.6716
21 O 0.9176 0.2607 0.0381

Main lines, in order of rising 2θ (10 to 90 degrees two-theta):
2theta  Rel. int.
17.47  58.2
19.65  69.1
21.89  49.3
24.69  70.3
26.62  85.2
28.68  100.0
30.09  38.3
30.65  52.3
31.75  36.9
46.03  30.5

Entry 3:
Simulated powder XRD pattern
Compound: Ag2TeO4
Radiation: CuKα
Structure: DFT lattice parameters and positions (PBE)
No peak broadening, texture or thermal motion is included.

Cell: 6.5803 6.5803 13.9480 Å, 91.12 91.12 91.61°
Sites, in units of the cell vectors:
1 Ag 0.0515 0.9485 0.7500
2 Ag 0.2190 0.5172 0.4324
3 Ag 0.2657 0.3899 0.6732
4 Ag 0.2747 0.7253 0.2500
5 Ag 0.3899 0.2657 0.1732
6 Ag 0.4828 0.7810 0.0676
7 Ag 0.5172 0.2190 0.9324
8 Ag 0.6101 0.7343 0.8268
9 Ag 0.7253 0.2747 0.7500
10 Ag 0.7343 0.6101 0.3268
11 Ag 0.7810 0.4828 0.5676
12 Ag 0.9485 0.0515 0.2500
13 Te 0.0000 0.0000 0.0000
14 Te 0.0000 0.0000 0.5000
15 Te 0.0866 0.4967 0.8965
16 Te 0.4967 0.0866 0.3965
17 Te 0.5033 0.9134 0.6035
18 Te 0.9134 0.5033 0.1035
19 O 0.0457 0.1935 0.8922
20 O 0.0470 0.2752 0.5467
21 O 0.0475 0.4849 0.2256
22 O 0.1103 0.7999 0.9031
23 O 0.1811 0.4913 0.0345
24 O 0.1935 0.0457 0.3922
25 O 0.2001 0.8897 0.5969
26 O 0.2752 0.0470 0.0467
27 O 0.3561 0.4725 0.8516
28 O 0.4725 0.3561 0.3516
29 O 0.4849 0.0475 0.7256
30 O 0.4913 0.1811 0.5345
31 O 0.5087 0.8189 0.4655
32 O 0.5151 0.9525 0.2744
33 O 0.5275 0.6439 0.6484
34 O 0.6439 0.5275 0.1484
35 O 0.7248 0.9530 0.9533
36 O 0.7999 0.1103 0.4031
37 O 0.8065 0.9543 0.6078
********
_The piece goes on_

I'll be happy to go 7-11.

By the way, might have access to a big football suicide pool. Anyone wanting to play let me know. I will probably run a sub-pool for us. Unlike the hoops pool, it will be same teams. Only because you'll have to send them to me for me to submit so I'll be collecting them anyway.

I think the big pool is $100. Probably will do $25 to $50 on top as likely none of us wins the big one, but at least somebody will more than break even.

As for picks... KOD 0-0. Forester... new love is like jelly on the brain: 3-12-1 including non pick losses. Puss 10-4-2. Lloyd 4-12. Hank 6-10, Bake 10-3-3. Ryan Moore 5-4-6. Shoats 7-9. Bill 15-0-1.

Monday, August 10, 2009

2009 preview

That's right, after a hiatus due to general apathy, I seek to reinvigorate the picks league, with trash talking in full gear. College season starts September 3, pro season September 10. But I see no reason not to open the trash talking season right now. Here is why I will pummel this league:

Bill - recently married, kid due any day, renovating a house. organizing a poker tournament. End result - no time for good picks. He'll go 7-11.
Rory - 2 kids and a wife haven't slowed him down previously but he'll focus too much on the Spiders and the Cowgirls will inevitably implode again and his season will likewise plummet. 11-7.
Perry - 2 kids, a wife, a 15 year history of horrendous picks. I don't think I need say any more. 5-13.
KOD - Has a toddler and a wife and a history of making impulse picks on the Thursday night favorite without waiting to see who is playing or what the line is. A great strategy to finish 6-12.
L3K - He'll be distracted by his new co-habitation status, the Mets awfulness, the Yankees inevitable run to the championship and the Breeders Cup. After that race, he'll go on a heater to finish 10-8 after starting 5-7.
Forester - Recently changed his facebook status to "In a Relationship". Has a history of picking over/unders, just a terrible idea. Over/under on his wins this year doing so: 9. I'll go with the under. 8-10.
Hank - Married to his wife and to his dog, he'll be distracted by the housing market, and not seeing Bruce play Blind Terry/Iceman in Chicago with throw him into a dark mood for all of October/November. 10-8.
Blake - darkhorse candidate to make a run, but he's similarly got a wife and two kids (I sense a trend here). Much like the Skins, he's the offseason champ only. 10-8.
Mo - Bucking the trend, he has a wife and three kids, exponentially decreasing his odds of picking well. It could get ugly. 7-11.
Me - no wife, no kids, no mortgage, no credit card debt. I work 3 days a week, plenty of time for research on games. Hasn't helped in the past but this year it does. 12-6.

Bring it.